Cervical Cancer Awareness week is an annual event held across the UK in a bid to raise awards for the almost wholly preventable disease.
It aims to encourage the estimated 3 million women across the UK who haven’t had a smear test in the past three and a half years, to get tested.
Dorset charity GO Girls have launched a campaign focused on encouraging young girls to get the HPV (Human Papillomavirus) vaccine as part of Cervical Cancer Awareness week.
Recent figures have shown that the number girls opting to have the vaccine has decreased over the years so this year’s efforts are focused on raising awareness of the benefits of the vaccine. To assist their campaign they have created an animation, which they hope to circulate around schools.

The Eve Appeal has also launched their own campaign for this week. They are the leading UK national charity funding research and raising awareness into the five gynaecological cancers – womb, ovarian, cervical, vulval and vagina.
This year, the charity has launched their ‘For Everyone with a Cervix’ campaign which aims to bridge the information gap in cervical cancer information for transgender, non-binary and intersex communities.
Additionally, the charity has published some tips for healthcare professionals to better support their patients from the aforementioned communities.
Buzz news interviewed CEO of The Eve Appeal, Athena Lamnisos, about this year’s campaign.
Q&A Athena Lamnisos, CEO, The Eve Appeal
The following is a DFT calculation (wB97M-V/def2-TZVPD) of a 7-piece molecular cluster, C28H77N7O7 overall at a distorted geometry.

Calculated values
Energy above the lowest of the compared OMol25 structures with the same formula, charge and spin, eV: 2.570
SMILES: COC[C@H](C)N.COC[C@H](C)N.COC[C@H](C)N.COC[C@H](C)N.COC[C@H](C)N.COC[C@H](C)N.COC[C@H](C)N
LUMO level, eV: 0.48
Orbital gap, eV: 8.8859

```
! RIJCOSX wB97M-V def2-TZVPD def2/J DEFGRID3
* xyz 0 1
C -1.90391 1.61911 5.74123
O -2.24210 1.94443 4.40718
C -2.52174 3.30820 4.13090
C -3.91316 3.73832 4.57551
C -5.06989 3.08748 3.77819
N -4.06430 5.18585 4.37169
H -0.89259 1.98826 5.94406
H -1.84915 0.52927 5.75796
H -2.66549 1.94026 6.45288
H -1.74018 3.92166 4.59168
H -2.51850 3.37815 3.04497
H -4.07101 3.41815 5.61311
H -4.98998 3.02061 2.69245
H -6.03088 3.56716 3.97145
H -5.19367 2.05906 4.13299
H -4.93211 5.54508 4.74546
H -3.31076 5.59189 4.92580
C -0.75002 -0.91122 -1.02953
O 0.39546 -0.14074 -0.73894
C 0.59692 -0.09688 0.68020
C -0.51248 0.63919 1.43411
C -0.77102 1.97559 0.74193
N -0.08045 0.89451 2.82362
H -0.65296 -1.39986 -2.00643
H -1.57319 -0.22360 -1.26111
H -1.05545 -1.70203 -0.34330
H 0.57639 -1.14848 1.00071
H 1.62993 0.14130 0.93029
H -1.42768 0.05586 1.56366
H 0.12960 2.57639 0.61240
H -1.47527 2.64780 1.23801
H -1.24555 1.80422 -0.22656
H 0.22094 0.09985 3.37789
H -0.85081 1.33098 3.34160
C -4.07361 0.50763 -3.27717
O -3.21429 -0.58010 -3.59502
C -3.62599 -1.84289 -3.11680
C -4.06931 -2.65508 -4.36506
C -4.64262 -4.00553 -3.96842
N -2.89378 -2.85913 -5.23648
H -5.07502 0.28979 -3.67046
H -3.79866 1.45969 -3.72074
H -4.08308 0.50434 -2.18321
H -2.87303 -2.33994 -2.50010
H -4.51603 -1.66963 -2.49554
H -4.77903 -2.02462 -4.90369
H -4.98447 -4.52943 -4.85890
H -5.50392 -3.83288 -3.32074
H -3.86972 -4.56759 -3.44301
H -2.47343 -1.96710 -5.48627
H -2.19412 -3.20521 -4.57584
C -1.29669 -4.62844 -0.44256
O -0.21510 -4.44565 0.45583
C -0.18332 -5.21230 1.64699
C -1.12163 -4.64675 2.68173
C -0.84559 -3.23808 3.17298
N -1.09577 -5.52598 3.86724
H -2.20198 -4.29709 0.06909
H -1.36590 -5.55082 -1.01960
H -1.16141 -3.85879 -1.20673
H -0.52218 -6.19338 1.27728
H 0.86972 -5.36210 1.90606
H -2.08337 -4.75573 2.17395
H 0.12993 -3.29055 3.66492
H -1.58021 -2.89536 3.89930
H -0.75054 -2.48245 2.38596
H -1.72086 -5.27214 4.62225
H -0.19224 -5.50202 4.32899
C 4.11761 2.30957 -0.51752
O 4.15943 2.16664 0.89893
C 3.36649 3.12010 1.60438
C 3.38519 2.62366 3.07420
C 4.72653 2.81507 3.76764
N 2.70344 1.37003 3.27084
H 4.72951 3.18096 -0.77187
H 3.08286 2.45683 -0.84008
H 4.55541 1.42462 -0.97368
H 3.83803 4.10386 1.47535
H 2.36800 3.21029 1.16370
H 2.74838 3.38404 3.55201
H 4.70604 2.51600 4.81163
H 4.95587 3.88617 3.75134
H 5.54917 2.40213 3.18026
H 3.04062 0.73913 2.54346
H 1.67925 1.37203 3.10824
C -1.75333 4.27567 -3.61679
O -0.69984 3.33391 -3.60165
C 0.46294 3.78345 -2.96248
C 1.68661 3.06826 -3.58692
C 1.86677 3.46104 -5.07903
N 1.50273 1.62476 -3.55305
H -1.38462 5.30209 -3.66834

Q: This year, why did the Eve Appeal feel that it was a necessary time to launch the campaign aimed at transgender, non-binary and intersex communities?
A: We start from a point of inclusion and want everyone to have access to the information and support that they need to look after their health and access cancer screening and prevention services.
Cervical screening tests can be uncomfortable and awkward for anyone, but we know that for certain communities there are even more barriers, where they can be physically and emotionally painful. We also know that for some there’s a clear information and knowledge gap – they don’t know if they should be attending screening or how to access it.
The trans, non-binary and intersex communities being one of them. It can be difficult to even acknowledge that part of their body, never mind having a stranger performing an invasive procedure. We want to help reduce the barriers for everyone and we feel the time is now. There is currently very little specific information and we hear story after story about barriers to access. We wanted to fill in this gap to make sure there is information out there for health care professionals and also the community.
Q: For transgender communities who feel uncomfortable visiting their GP or local hospital for a smear test, are there any alternatives which are more sensitive towards their gender?
A: There are a few LGBTQ+ specialist clinics, and some have a cervical screening clinic, which will provide a very supporting and accessible environment to go for your cervical screening. It is worth looking into whether you have any near you which you can go to if you are worried about going to your local GP. You can also speak to our specialist gynaecological nurse service, Ask Eve about any concerns before an appointment, or any of the fantastic support charities out there for the trans community.
Q: Will cervical cancer always be a risk for transgender males?
A: Cervical cancer is a risk for a trans man if he has a cervix. If he has had some genital gender reassignment surgery (bottom surgery), he may have had his cervix removed and no longer be at risk. It is important if you are going for surgery to talk to your consultant about what anatomy will remain so you can know your cancer risk, and know whether or not you need to go for cervical screening. We have produced some tailored information on each of the five gynae cancers which can help. It is important to remember, that regardless of any surgery you have had, if you are a trans man you will still be at risk of vulval and vaginal cancer as in all gender reassignment surgeries this tissue is kept, these cancers are rare so the risk is low, but it is still here and important to be aware of.
Hillary Maxwell, Chair and Gynae-Oncology Clinical Nurse Specialist, also spoke to BUzz about this years campaign and why it is important to raise awareness for cervical cancer and the HPV Vaccination.